(Given)
=====
1.
{"formula": "C9H18F3OP", "method": "wB97M-V/def2-TZVPD", "orbital_gap_ev": 9.5012, "smiles": "CCC(C)(C)C(F)(F)[C@@](O)(F)P(C)C", "homo_energy_ev": -8.7, "charge": 0, "e_above_lowest_kj_mol": 48.3, "energy_ev": -29112.05793, "elements": ["C", "C", "C", "C", "C", "C", "F", "F", "C", "O", "F", "P", "C", "C", "H", "H", "H", "H", "H", "H", "H", "H", "H", "H", "H", "H", "H", "H", "H", "H", "H", "H"], "xyz": [[0.084363, -1.387674, 2.289321], [1.026385, -0.266127, 2.094523], [0.522811, 1.021191, 1.310932], [1.655001, 1.904266, 0.888032], [-0.432086, 1.806720, 2.283432], [-0.300954, 0.720593, 0.035574], [-1.523188, 0.133864, 0.267003], [-0.649009, 1.958024, -0.516996], [0.283734, -0.179178, -1.109785], [0.609512, 0.407557, -2.327998], [1.437137, -0.792261, -0.700177], [-1.027670, -1.571175, -1.406993], [-2.129016, -0.543829, -2.498853], [-0.053935, -2.416436, -2.736357], [-0.622540, -1.249857, 3.025088], [-0.524937, -1.605164, 1.272139], [0.533011, -2.320464, 2.686126], [1.945766, -0.539130, 1.562763], [1.566214, 0.041220, 3.038260], [1.853891, 1.597336, -0.161017], [1.327159, 2.959522, 0.886160], [2.535162, 1.635679, 1.614431], [-1.385646, 1.323924, 2.425881], [0.262288, 1.895877, 3.246850], [-0.565999, 2.922828, 1.958806], [0.130997, 1.277695, -2.177101], [-2.203778, 0.446501, -2.103220], [-3.065824, -1.037993, -2.445214], [-1.647990, -0.424184, -3.596436], [0.373578, -1.682244, -3.330011], [-0.774211, -2.961462, -3.412102], [0.759775, -3.075619, -2.363062]], "atomic_forces_ev_per_a": [[-0.61, -2.16, -3.07], [2.34, 1.57, -0.46], [-2.33, -0.72, 1.49], [1.50, -0.67, 0.30], [2.65, 2.15, 0.77], [-0.10, 0.18, -0.42], [0.01, 0.95, 1.08], [0.26, -0.32, -0.14], [-0.30, -1.94, -0.57], [-1.40, 2.64, 1.58], [0.37, -0.15, 0.48], [0.78, -0.33, -0.64], [2.44, -0.11, -2.08], [-1.05, -1.74, 0.48], [-1.93, 1.07, 1.53], [1.56, 0.05, 2.51], [0.34, 0.39, -0.83], [-0.46, -0.64, -0.41], [-1.24, 0.22, -0.45], [0.85, 0.50, 0.69], [0.63, -0.49, 0.17], [-1.32, 1.10, -1.67], [-0.13, -0.09, 0.43], [-2.03, -0.27, -1.60], [-0.04, -2.15, 0.34], [1.01, -0.80, -1.19], [-0.31, 0.59, 0.32], [-1.04, -0.20, -0.57], [-1.40, -0.52, 2.44], [0.97, 1.46, -1.24], [0.74, 0.20, 0.88], [-0.80, 0.25, -0.14]], "lowdin_charge": [-0.10, -0.23, -0.48, -0.03, -0.03, -0.41, -0.02, 0.05, -0.60, 0.00, 0.03, 0.98, -0.27, -0.30, 0.04, 0.09, 0.09, 0.10, 0.13, 0.09, 0.09, 0.13, 0.07, 0.13, 0.11, 0.13, 0.01, 0.01, 0.10, -0.01, 0.06, 0.05]}

2.
=====

(Assignment)
Give back everything earlier on exactly.

(Done)
1.
{"formula": "C9H18F3OP", "method": "wB97M-V/def2-TZVPD", "orbital_gap_ev": 9.5012, "smiles": "CCC(C)(C)C(F)(F)[C@@](O)(F)P(C)C", "homo_energy_ev": -8.7, "charge": 0, "e_above_lowest_kj_mol": 48.3, "energy_ev": -29112.05793, "elements": ["C", "C", "C", "C", "C", "C", "F", "F", "C", "O", "F", "P", "C", "C", "H", "H", "H", "H", "H", "H", "H", "H", "H", "H", "H", "H", "H", "H", "H", "H", "H", "H"], "xyz": [[0.084363, -1.387674, 2.289321], [1.026385, -0.266127, 2.094523], [0.522811, 1.021191, 1.310932], [1.655001, 1.904266, 0.888032], [-0.432086, 1.806720, 2.283432], [-0.300954, 0.720593, 0.035574], [-1.523188, 0.133864, 0.267003], [-0.649009, 1.958024, -0.516996], [0.283734, -0.179178, -1.109785], [0.609512, 0.407557, -2.327998], [1.437137, -0.792261, -0.700177], [-1.027670, -1.571175, -1.406993], [-2.129016, -0.543829, -2.498853], [-0.053935, -2.416436, -2.736357], [-0.622540, -1.249857, 3.025088], [-0.524937, -1.605164, 1.272139], [0.533011, -2.320464, 2.686126], [1.945766, -0.539130, 1.562763], [1.566214, 0.041220, 3.038260], [1.853891, 1.597336, -0.161017], [1.327159, 2.959522, 0.886160], [2.535162, 1.635679, 1.614431], [-1.385646, 1.323924, 2.425881], [0.262288, 1.895877, 3.246850], [-0.565999, 2.922828, 1.958806], [0.130997, 1.277695, -2.177101], [-2.203778, 0.446501, -2.103220], [-3.065824, -1.037993, -2.445214], [-1.647990, -0.424184, -3.596436], [0.373578, -1.682244, -3.330011], [-0.774211, -2.961462, -3.412102], [0.759775, -3.075619, -2.363062]], "atomic_forces_ev_per_a": [[-0.61, -2.16, -3.07], [2.34, 1.57, -0.46], [-2.33, -0.72, 1.49], [1.50, -0.67, 0.30], [2.65, 2.15, 0.77], [-0.10, 0.18, -0.42], [0.01, 0.95, 1.08], [0.26, -0.32, -0.14], [-0.30, -1.94, -0.57], [-1.40, 2.64, 1.58], [0.37, -0.15, 0.48], [0.78, -0.33, -0.64], [2.44, -0.11, -2.08], [-1.05, -1.74, 0.48], [-1.93, 1.07, 1.53], [1.56, 0.05, 2.51], [0.34, 0.39, -0.83], [-0.46, -0.64, -0.41], [-1.24, 0.22, -0.45], [0.85, 0.50, 0.69], [0.63, -0.49, 0.17], [-1.32, 1.10, -1.67], [-0.13, -0.09, 0.43], [-2.03, -0.27, -1.60], [-0.04, -2.15, 0.34], [1.01, -0.80, -1.19], [-0.31, 0.59, 0.32], [-1.04, -0.20, -0.57], [-1.40, -0.52, 2.44], [0.97, 1.46, -1.24], [0.74, 0.20, 0.88], [-0.80, 0.25, -0.14]], "lowdin_charge": [-0.10, -0.23, -0.48, -0.03, -0.03, -0.41, -0.02, 0.05, -0.60, 0.00, 0.03, 0.98, -0.27, -0.30, 0.04, 0.09, 0.09, 0.10, 0.13, 0.09, 0.09, 0.13, 0.07, 0.13, 0.11, 0.13, 0.01, 0.01, 0.10, -0.01, 0.06, 0.05]}

2.